Facing a $2.8 million deficit, the school district could
eliminate the equivalent of 33 full-time positions, with elementary
schools hit the hardest. The school board plans to vote at
tonight’s meeting to approve the handing out of pink slips to at
least 28 full-time teachers and reorganize 12 elective periods at
the junior high and high school levels.
Facing a $2.8 million deficit, the school district could eliminate the equivalent of 33 full-time positions, with elementary schools hit the hardest. The school board plans to vote at tonight’s meeting to approve the handing out of pink slips to at least 28 full-time teachers and reorganize 12 elective periods at the junior high and high school levels.
District board trustee president Bart Fisher said that figure is based on the “worst-case scenario” that the district will face if they cannot rework the budget to save money in areas other than salaries. Salaries and benefits encompass about 87 percent of the district’s budget. The cuts come after the district sliced about $9 million in the past two years, including 16 classified employees, such as maintenance workers and bus drivers, and several teachers.
The board must approach layoffs with the highest number of positions if it cannot either rearrange funds to avoid layoffs or if the state does not help with additional funding for the 2010-2011 school year.
This news comes as the school district’s March 12 deadline to inform staff quickly approaches.
“(The letters) will be handed out one by one personally,” Assistant Superintendent Dr. Jay Totter said. If someone is not at work that day, he said, the letter will be delivered by mail.
The “pink slips” are formal written notices letting an employee know that they may be released, demoted or reassigned, according to the Association of California School Administrators Web site. It’s too early to tell when teachers will know exactly if they have jobs with the district next year, said the board’s Vice President Peter Mandel, but the letters can be withdrawn as the board moves along and finds funds to keep that position. Superintendent Wesley Smith and the board are being as transparent as possible by giving them some time and warning and treating employees with respect during these difficult times, Fisher said.
Those on the chopping block are broken down by grade for the elementary level (all are full-time positions) and then by program for junior high and high school: Five kindergarten teachers, at least eight first-grade, nine second-grade and at least five third-grade; and in middle school the board will cut one period each of guitar, foods, photo and computer application and two periods of drama. At the high-school level, one period of the following electives will be reduced: digital photo, computer application, woodworking and child care, and two periods of fashion design.
Atop these cuts are also a part-time Beginning Teacher Support and Assessment consulting teacher and two Alameda County Collaborative for Learning and Instruction in Mathematics teachers. At final count, the school district could lose the equivalent of 32.9 full-time positions.
The cuts, the board asserts, are not coming as a huge surprise to district teachers and staff. Trustee Kathy Sullivan said the board is grateful that the district is in better shape than others in the Bay Area.
“Many terrible cuts surround the district and any time we have to make cuts it hurts everybody – the kids most of all,” Sullivan said.
The MHUSD noted that temporary positions would be eliminated first, then probationary positions, such as those who are not tenured. But the cuts could come at different levels based on the needs for each school.
The elimination of 28 positions at the elementary level would increase class sizes above the current 20 to 1 ratio in some kindergarten through third-grade classes.
There is a bit of flexibility with that number, but as the increase of students to one teacher climbs so do penalties by the state government, Mandel said. The district will look at all options to lower spending, including increasing class sizes in order to reduce the number of teachers needed. Once the budget is crunched it could prove to be more cost-effective to increase the pupil-to-teacher ratio and lose the state funding for that program, over keeping classes small and needing more teachers, and, of course, more money to pay them.
“If you move the ratio higher, you move to fewer teachers needed,” trustee Fisher said. But cutting from a specific grade level, “does not mean that that teacher leaves the district.” Teachers may be moved around if for example a teacher in a grade level that is reduced could move to another grade that is needed.
The junior high and high school electives that are up for evaluation would be eliminated and those electives would then be translated into a different kind of course offering. The designated junior high and high school instructors who teach the elective courses would turn those class periods into more study of a core subject or possibly other remedial classes.
Crystal structures that have nothing to do with the piece:
The following is a PBE calculation of a relaxed structure of Re6Pb5O19, from the Materials Project database.

Unit cell a=9.401 b=9.395 c=13.303 alpha=45.02 beta=90.00 gamma=90.00
Fractional positions:
O: 0.605 0.711 0.750
O: 0.251 0.670 0.080
O: 0.750 0.328 0.252
Pb: 0.391 0.708 0.897
Re: 0.618 0.500 0.750
O: 0.250 0.065 0.039
Pb: 0.500 0.000 0.500
Re: 0.754 0.368 0.383
Re: 0.247 0.861 0.256
O: 0.250 0.328 0.752
O: 0.750 0.672 0.248
O: 0.539 0.355 0.395
Pb: 0.102 0.999 0.607
Pb: 0.609 0.708 0.397
O: 0.747 0.354 0.539
Pb: 0.609 0.292 0.103
O: 0.749 0.330 0.920
O: 0.921 0.000 0.750
O: 0.253 0.354 0.039
Re: 0.115 0.500 0.250
O: 0.251 0.330 0.420
O: 0.251 0.000 0.750
O: 0.892 0.287 0.753
Re: 0.753 0.861 0.756
O: 0.960 0.645 0.108
Pb: 0.102 0.001 0.893
O: 0.539 0.645 0.105
Pb: 0.391 0.292 0.603
O: 0.395 0.289 0.250
O: 0.395 0.711 0.250
O: 0.461 0.355 0.895
O: 0.079 0.000 0.250
O: 0.253 0.646 0.461
O: 0.461 0.645 0.605
O: 0.582 0.000 0.750
O: 0.892 0.713 0.747
O: 0.108 0.713 0.247
Re: 0.247 0.139 0.244
O: 0.605 0.289 0.750
Re: 0.754 0.632 0.117
O: 0.108 0.287 0.253
O: 0.250 0.672 0.748
Pb: 0.898 0.999 0.107
O: 0.747 0.646 0.961
Re: 0.885 0.500 0.750
Pb: 0.898 0.001 0.393
Re: 0.753 0.139 0.744
O: 0.250 0.935 0.461
O: 0.749 0.000 0.250
Re: 0.382 0.500 0.250
O: 0.749 0.670 0.580
Re: 0.246 0.368 0.883
O: 0.040 0.355 0.892
O: 0.040 0.645 0.608
Pb: 0.500 0.000 0.000
O: 0.750 0.065 0.539
O: 0.418 0.000 0.250
O: 0.960 0.355 0.392
O: 0.750 0.935 0.961
But with the state’s budget in dire straights, Fisher said he can’t say if the board will be able to rescind the pink slips this time.
“We have to make (the cuts now) before the state. And we have to go where, frankly, we scare some people, but it’s the structure of how we have to do it,” Fisher said.
Mandel echoed what many other board staff have said: options are few for the district and no one wants to see any teacher layoffs.
“There aren’t many options and we’re well-versed in the possibilities,” Mandel said. “None of the possibilities are going to be good.”
• Inserted here: data records:
<<<
1.
# EuCuSF

An optimized crystal structure of EuCuSF (PBE-GGA, Materials Project).

Cell lengths 3.920, 3.920, 8.631 Å; angles 90.00, 90.00, 90.00 degrees
Atoms (fractional coordinates):
Eu 0.500 0.000 0.676
Eu 0.000 0.500 0.324
S 0.000 0.500 0.835
S 0.500 0.000 0.165
Cu 0.500 0.500 0.000
Cu 0.000 0.000 0.000
F 0.000 0.000 0.500
F 0.500 0.500 0.500

Energy of formation from the pure elements (eV/f.u.): -9.03
Energy with MP2020 corrections (eV/cell): -58.87

2.
# EuGaCu

An optimized crystal structure of EuGaCu (PBE-GGA, Materials Project).

Cell lengths 5.614, 5.614, 7.382 Å; angles 51.39, 51.39, 47.62 degrees
Atoms (fractional coordinates):
Ga 0.831 0.831 0.107
Ga 0.169 0.169 0.893
Eu 0.550 0.550 0.695
Eu 0.450 0.450 0.305
Cu 0.834 0.834 0.725
Cu 0.166 0.166 0.275

Energy of formation from the pure elements (eV/f.u.): -1.05

----------

A plane-wave DFT calculation with PBE was carried out for a relaxed structure of SmP5.

Cell: 5.013 9.539 5.427 Å, 90.00 102.10 90.00°
Space group P2_1/m (No. 11)
Asymmetric unit:
Sm 0.007 0.250 0.348 x2
P 0.284 0.250 0.897 x2
P 0.290 0.529 0.404 x4
P 0.384 0.591 0.046 x4

Summary:
calculated formation energy	-0.537	eV per atom
raw total energy	-5.835	eV/atom



A plane-wave DFT calculation with PBE was carried out for a relaxed structure of SmZn3P3.

Cell: 4.0337 4.0337 20.0095 Å, 90.00 90.00 120.00°
Space group P6_3/mmc (No. 194)
Asymmetric unit:
Sm 0.0000 0.0000 0.0000 x2
Zn 0.3333 0.6667 0.1289 x4
Zn 0.3333 0.6667 0.7500 x2
P 0.3333 0.6667 0.2500 x2
P 0.3333 0.6667 0.5861 x4

Summary:
calculated formation energy	-0.602	eV per atom
raw total energy	-4.136	eV/atom



A plane-wave DFT calculation with PBE was carried out for a relaxed structure of SnP.

Cell: 5.592 5.592 5.592 Å, 90.00 90.00 90.00°
Space group Fm-3m (No. 225)
Asymmetric unit:
Sn 0.000 0.000 0.000 x4
P 0.000 0.000 0.500 x4

Summary:
calculated formation energy	0.006	eV per atom
raw total energy	-4.706	eV/atom



A plane-wave DFT calculation with PBE was carried out for a relaxed structure of SnP.

Cell: 4.1763 4.1763 6.8772 Å, 90.00 90.00 120.00°
Space group P-3m1 (No. 164)
Asymmetric unit:
Sn 0.3333 0.6667 0.1661 x2
P 0.0000 0.0000 0.3409 x2

Summary:
calculated formation energy	0.017	eV per atom
raw total energy	-4.694	eV/atom

----------

1.
Below is Ba6Br2N3Cl after structural relaxation, with properties calculated at the PBE level.

Results
Formation enthalpy at 0 K: -1.271 eV/atom
Size of the total moment: 0.00 Bohr magnetons per cell
Total DFT energy (no corrections): -4.6904 eV per atom
MP2020-corrected energy: -56.9 eV/cell

a = 11.0742 Å, b = 11.0742 Å, c = 8.2649 Å
α = 73.31°, β = 73.31°, γ = 21.79°
Positions (direct):
Ba 0.9240 0.9240 0.6883
Ba 0.2571 0.2571 0.6866
Ba 0.5894 0.5894 0.6898
Ba 0.0760 0.0760 0.3117
Ba 0.4106 0.4106 0.3102
Ba 0.7429 0.7429 0.3134
Br 0.3334 0.3334 0.0000
Br 0.6666 0.6666 0.0000
N 0.5000 0.5000 0.5000
N 0.8335 0.8335 0.4999
N 0.1665 0.1665 0.5001
Cl 0.0000 0.0000 0.0000

2.
>>>
The resolution is expected to be passed at tonight’s meeting and at a later date a budget committee will make recommendations to Smith who will then submit a final plan to the board.
“The timing is bad,” Mandel said, because the board is forced to inform employees who may not be laid off in the end and well before they know how much the state might add to their coffers.
The district has also approved and released a list of tenured staff who are ranked in order from one to 443; with the those first on the list hired in the 1970s and at the end are teachers who were hired in August 2009. The list is not a sure-fire display of who may or may not be laid off in the district though. The choice of which personnel will be laid off will not be based solely on the seniority list but also on the needs at each school, such as teachers who have additional certifications for special education and speech or specialization in science and math.
All school teachers fall under the “certificated staff” umbrella, including some high-level administration employees. Classified staff are secretaries, food-service workers, grounds keepers, instructional aides – not classroom teachers.
Attached: materials data.
<<<
NiI2 after structural relaxation, computed with meta-GGA r2SCAN.

a = 7.371 Å, b = 7.371 Å, c = 7.371 Å
α = 31.13°, β = 31.13°, γ = 31.13°
Fractional positions:
Ni: 0.000 0.000 0.000
I: 0.260 0.260 0.260
I: 0.740 0.740 0.740

Calculated values
E_form in eV per atom: -0.338
DFT total energy in eV/atom: -20.70
Crystal system: trigonal

~~~~~

Computed, not measured: a geometry-optimized Ta2CrNO5 structure at the PBE+U level of DFT.

```
18
Lattice="3.374 -3.366 0.000 3.374 3.366 0.000 -0.048 0.000 9.239" Properties=species:S:1:pos:R:3 pbc="T T T"
Ta 0.000 0.000 0.000
Ta 3.279 0.000 1.451
Ta 3.371 0.000 4.563
Ta 6.687 0.000 6.196
Cr 0.057 0.000 3.021
Cr 3.403 0.000 7.634
N 1.379 0.000 1.479
N 5.431 0.000 7.618
O 1.335 0.000 7.621
O 1.408 0.000 4.547
O 3.396 1.319 9.195
O 3.417 1.322 6.047
O 3.449 1.298 3.029
O 3.396 -1.319 9.195
O 3.449 -1.298 3.029
O 3.417 -1.322 6.047
O 5.478 0.000 1.468
O 5.464 0.000 4.582
```

Calculated density = 8.04 g/cm3
Energy = -169.43 eV for the cell shown
Symmetry = Cm (8)


Computed, not measured: a geometry-optimized Mn6O5F7 structure at the PBE+U level of DFT.

```
36
Lattice="5.249 0.000 0.000 0.029 5.501 0.000 1.692 0.373 14.721" Properties=species:S:1:pos:R:3 pbc="T T T"
Mn 0.000 0.000 0.000
Mn 0.579 0.219 4.938
Mn 3.803 3.684 14.594
Mn 3.341 3.916 9.763
Mn 3.674 0.801 12.079
Mn 3.215 0.839 7.325
Mn 3.215 3.934 4.954
Mn 3.139 0.422 2.458
Mn 5.865 5.594 9.617
Mn 5.239 2.815 2.308
Mn 5.869 2.501 7.330
Mn 6.474 4.057 12.100
O 1.577 1.175 8.320
O 0.872 4.091 1.033
O 2.242 5.163 10.771
O 2.648 4.768 13.330
O 2.293 5.331 5.890
O 4.129 5.290 8.703
O 5.032 4.418 10.902
O 4.272 5.123 3.884
O 4.886 1.161 6.358
O 4.596 1.041 1.471
F 1.487 3.839 8.498
F 1.017 1.946 3.885
F 2.614 1.935 13.647
F 1.703 4.898 3.445
F 2.629 2.629 11.033
F 2.452 2.603 6.190
F 2.027 1.544 1.296
F 4.110 2.586 8.532
F 3.643 2.516 3.684
F 3.482 4.022 1.265
F 5.250 3.145 13.376
F 5.304 5.806 13.541
F 5.198 1.555 10.946
F 5.076 3.841 6.089
```

Calculated density = 4.24 g/cm3
Energy = -239.21 eV for the cell shown
Symmetry = P1 (1)


Computed, not measured: a geometry-optimized Gd2MgTl2W4O16 structure at the PBE+U level of DFT.

```
25
Lattice="7.542 0.000 0.000 -3.341 6.787 0.000 -3.453 -1.847 6.858" Properties=species:S:1:pos:R:3 pbc="T T T"
Gd 0.000 0.000 0.000
Gd 0.479 2.649 2.913
Mg 3.649 4.108 1.315
Tl -3.374 2.582 3.539
Tl 0.379 6.549 0.196
W -1.804 -0.686 3.675
W -1.415 1.436 6.129
W 1.942 -0.572 3.615
W 2.385 1.188 6.395
O -2.236 4.786 0.259
O -0.899 2.098 0.966
O -3.344 1.970 5.790
O -1.941 -0.491 5.738
O -1.192 1.223 3.988
O -3.141 5.656 4.103
O 1.389 0.358 2.071
O -0.884 4.560 3.025
O 1.758 3.310 1.222
O -0.695 3.150 6.032
O 0.444 0.745 6.763
O 1.829 1.392 4.422
O 2.611 -0.743 5.468
O 4.013 -0.029 3.238
O 1.830 4.375 3.994
O 2.979 5.927 1.893
```

Calculated density = 8.23 g/cm3
Energy = -197.85 eV for the cell shown
Symmetry = P1 (1)


Computed, not measured: a geometry-optimized LiCrP2O8 structure at the PBE+U level of DFT.

```
48
>>>
“We’ve cut our classified staff a lot and I would look to preserve classified staff. They’re a vital service,” Fisher said.
He added that the saying, “‘We need to cut as far away from the classroom as possible,’ used at times in budget discussions, was not true and that every level you make a cut it makes an impact on the school and the children.”